(Request)
Next, start at the top of the data below and duplicate each line, ending with the one that has "-7.46".

(File)
........
Computed, not measured: a molecular structure, C7H4ClNdO6S, with ωB97M-V with the def2-TZVPD basis set.

Structure (XYZ):
```
20
Properties=species:S:1:pos:R:3
Nd 6.79 5.64 2.54
Cl 13.01 10.43 2.51
C 11.89 9.09 2.38
C 12.22 7.70 2.31
C 11.23 6.79 2.34
C 9.87 7.11 2.41
O 8.97 6.17 2.42
C 9.57 8.48 2.49
C 8.26 8.89 2.62
O 7.24 8.17 2.85
C 10.58 9.45 2.44
H 13.27 7.45 2.32
H 11.53 5.72 2.35
H 8.05 9.95 2.53
H 10.35 10.53 2.46
O 3.31 3.73 2.90
S 4.59 4.26 2.65
O 5.59 3.48 1.91
O 4.50 5.62 2.02
O 5.48 4.60 3.83
```

spin multiplicity	4
HOMO (alpha / beta)	-9.22 / -9.24	eV
F_max	0.070	hartree/bohr
LUMO energy (alpha / beta)	-1.234 / -1.201	eV
charge	0
molecular weight	395.863	g/mol
HOMO-LUMO gap (alpha / beta)	7.99 / 8.04	eV

Results of the Löwdin charge analysis, in e, for atoms 1 through 6: Nd 2.056; Cl 0.647; C -0.631; C -0.058; C -0.014; C -0.344



Computed, not measured: 2 unconnected molecules or ions with the total composition C10H8BrN3O, with ωB97M-V with the def2-TZVPD basis set.

Structure (XYZ):
```
23
Properties=species:S:1:pos:R:3
C 1.72 -0.50 -1.44
C 1.41 -1.04 1.08
C 1.11 -0.55 -0.21
C 0.83 0.15 -2.34
C -0.17 0.11 -0.31
C -0.55 -0.14 1.89
C -1.37 1.30 -1.97
C -3.23 0.08 0.68
C 0.99 0.28 -3.68
C -1.35 0.12 3.12
N 0.60 -0.82 2.08
N -0.99 0.29 0.72
N -0.32 0.58 -1.59
O -3.47 -0.84 1.30
Br -1.47 2.43 -3.44
H 2.69 -0.88 -1.71
H 2.30 -1.61 1.29
H -2.16 1.40 -1.25
H 0.27 0.72 -4.34
H 1.88 -0.12 -4.12
H -2.03 -0.71 3.30
H -0.68 0.20 3.97
H -1.93 1.03 3.00
```

energy above the lowest of the compared OMol25 structures with the same formula, charge and spin	3.5668	eV
spin multiplicity	1
HOMO (alpha / beta)	-7.27 / -7.12	eV
F_max	0.038	hartree/bohr
LUMO energy (alpha / beta)	-0.282 / -1.188	eV
charge	0
molecular weight	266.098	g/mol
HOMO-LUMO gap (alpha / beta)	6.99 / 5.93	eV

Results of the Löwdin charge analysis, in e, for atoms 1 through 6: C 0.025; C -0.060; C -0.138; C -0.271; C -0.197; C -0.381



Computed, not measured: a gas-phase ion, C4H5FNO3 (charge -1), with ωB97M-V with the def2-TZVPD basis set.

Structure (XYZ):
```
14
Properties=species:S:1:pos:R:3
C 0.94 -0.74 -0.14
C -1.56 0.01 -0.36
C 0.42 1.79 0.12
C -0.02 0.31 0.30
N 0.54 -2.01 0.24
O -1.98 0.91 -1.06
O 1.93 -0.62 -0.82
O -1.99 -1.08 -0.17
F -0.31 0.10 1.76
H 1.25 2.07 0.80
H 0.79 1.83 -0.99
H -0.57 2.24 0.27
H -0.43 -2.15 0.26
H 0.98 -2.68 -0.20
```

SMILES string	C[C@](F)(C(N)=O)C(=O)[O-]
energy above the lowest of the compared OMol25 structures with the same formula, charge and spin	0.2790	eV
spin multiplicity	1
HOMO	-4.75	eV
F_max	0.114	hartree/bohr
LUMO energy	4.006	eV
charge	-1
molecular weight	134.086	g/mol
HOMO-LUMO gap	8.76	eV

Results of the Löwdin charge analysis, in e, for atoms 1 through 6: C -0.475; C -0.701; C -0.029; C -0.268; N 0.182; O -0.014



Computed, not measured: a molecular structure, C28H77FeN8O10, with ωB97M-V with the def2-TZVPD basis set.

Structure (XYZ):
```
124
Properties=species:S:1:pos:R:3
Fe 2.94 1.35 1.02
N 0.28 0.18 -0.62
O -0.64 0.85 -1.07
O 1.24 0.72 0.00
O 0.35 -1.04 -0.84
C -0.08 -1.97 -3.70
C -1.54 -2.38 -3.63
C -1.75 -3.87 -3.63
O -1.14 -4.48 -4.75
C -1.74 -5.72 -5.06
N -2.22 -1.69 -2.50
H 0.59 -2.42 -2.97
H 0.03 -0.88 -3.64
H 0.36 -2.21 -4.68
H -1.99 -1.88 -4.49
H -2.82 -4.10 -3.57
H -1.24 -4.27 -2.74
H -1.08 -6.28 -5.72
H -2.76 -5.63 -5.42
H -1.71 -6.36 -4.16
H -1.68 -1.85 -1.66
H -2.04 -0.70 -2.56
C 1.29 -1.62 3.77
C 1.46 -0.43 2.81
C 1.26 0.95 3.41
O 1.56 1.99 2.45
C 1.37 3.27 3.10
N 2.82 -0.47 2.20
H 1.36 -2.62 3.33
H 0.28 -1.66 4.20
H 2.08 -1.54 4.51
H 0.72 -0.56 2.02
H 1.98 1.12 4.22
H 0.25 0.96 3.82
H 0.55 3.19 3.81
H 1.18 4.02 2.34
H 2.29 3.60 3.60
H 3.42 -0.79 2.96
H 2.80 -1.35 1.66
C -0.32 1.83 -4.45
C -0.24 2.89 -5.56
C 1.15 3.41 -5.71
O 1.16 4.56 -6.56
C 2.44 5.09 -6.86
N -0.64 2.36 -6.89
H -0.21 2.28 -3.46
H 0.42 1.04 -4.62
H -1.31 1.37 -4.39
H -1.02 3.60 -5.27
H 1.90 2.67 -6.00
H 1.45 3.75 -4.71
H 2.27 6.16 -6.97
H 2.78 4.57 -7.77
H 3.20 4.97 -6.08
H -1.60 2.03 -6.85
H -0.64 3.20 -7.46
........

(Outcome)
Computed, not measured: a molecular structure, C7H4ClNdO6S, with ωB97M-V with the def2-TZVPD basis set.

Structure (XYZ):
```
20
Properties=species:S:1:pos:R:3
Nd 6.79 5.64 2.54
Cl 13.01 10.43 2.51
C 11.89 9.09 2.38
C 12.22 7.70 2.31
C 11.23 6.79 2.34
C 9.87 7.11 2.41
O 8.97 6.17 2.42
C 9.57 8.48 2.49
C 8.26 8.89 2.62
O 7.24 8.17 2.85
C 10.58 9.45 2.44
H 13.27 7.45 2.32
H 11.53 5.72 2.35
H 8.05 9.95 2.53
H 10.35 10.53 2.46
O 3.31 3.73 2.90
S 4.59 4.26 2.65
O 5.59 3.48 1.91
O 4.50 5.62 2.02
O 5.48 4.60 3.83
```

spin multiplicity	4
HOMO (alpha / beta)	-9.22 / -9.24	eV
F_max	0.070	hartree/bohr
LUMO energy (alpha / beta)	-1.234 / -1.201	eV
charge	0
molecular weight	395.863	g/mol
HOMO-LUMO gap (alpha / beta)	7.99 / 8.04	eV

Results of the Löwdin charge analysis, in e, for atoms 1 through 6: Nd 2.056; Cl 0.647; C -0.631; C -0.058; C -0.014; C -0.344



Computed, not measured: 2 unconnected molecules or ions with the total composition C10H8BrN3O, with ωB97M-V with the def2-TZVPD basis set.

Structure (XYZ):
```
23
Properties=species:S:1:pos:R:3
C 1.72 -0.50 -1.44
C 1.41 -1.04 1.08
C 1.11 -0.55 -0.21
C 0.83 0.15 -2.34
C -0.17 0.11 -0.31
C -0.55 -0.14 1.89
C -1.37 1.30 -1.97
C -3.23 0.08 0.68
C 0.99 0.28 -3.68
C -1.35 0.12 3.12
N 0.60 -0.82 2.08
N -0.99 0.29 0.72
N -0.32 0.58 -1.59
O -3.47 -0.84 1.30
Br -1.47 2.43 -3.44
H 2.69 -0.88 -1.71
H 2.30 -1.61 1.29
H -2.16 1.40 -1.25
H 0.27 0.72 -4.34
H 1.88 -0.12 -4.12
H -2.03 -0.71 3.30
H -0.68 0.20 3.97
H -1.93 1.03 3.00
```

energy above the lowest of the compared OMol25 structures with the same formula, charge and spin	3.5668	eV
spin multiplicity	1
HOMO (alpha / beta)	-7.27 / -7.12	eV
F_max	0.038	hartree/bohr
LUMO energy (alpha / beta)	-0.282 / -1.188	eV
charge	0
molecular weight	266.098	g/mol
HOMO-LUMO gap (alpha / beta)	6.99 / 5.93	eV

Results of the Löwdin charge analysis, in e, for atoms 1 through 6: C 0.025; C -0.060; C -0.138; C -0.271; C -0.197; C -0.381



Computed, not measured: a gas-phase ion, C4H5FNO3 (charge -1), with ωB97M-V with the def2-TZVPD basis set.

Structure (XYZ):
```
14
Properties=species:S:1:pos:R:3
C 0.94 -0.74 -0.14
C -1.56 0.01 -0.36
C 0.42 1.79 0.12
C -0.02 0.31 0.30
N 0.54 -2.01 0.24
O -1.98 0.91 -1.06
O 1.93 -0.62 -0.82
O -1.99 -1.08 -0.17
F -0.31 0.10 1.76
H 1.25 2.07 0.80
H 0.79 1.83 -0.99
H -0.57 2.24 0.27
H -0.43 -2.15 0.26
H 0.98 -2.68 -0.20
```

SMILES string	C[C@](F)(C(N)=O)C(=O)[O-]
energy above the lowest of the compared OMol25 structures with the same formula, charge and spin	0.2790	eV
spin multiplicity	1
HOMO	-4.75	eV
F_max	0.114	hartree/bohr
LUMO energy	4.006	eV
charge	-1
molecular weight	134.086	g/mol
HOMO-LUMO gap	8.76	eV

Results of the Löwdin charge analysis, in e, for atoms 1 through 6: C -0.475; C -0.701; C -0.029; C -0.268; N 0.182; O -0.014



Computed, not measured: a molecular structure, C28H77FeN8O10, with ωB97M-V with the def2-TZVPD basis set.

Structure (XYZ):
```
124
Properties=species:S:1:pos:R:3
Fe 2.94 1.35 1.02
N 0.28 0.18 -0.62
O -0.64 0.85 -1.07
O 1.24 0.72 0.00
O 0.35 -1.04 -0.84
C -0.08 -1.97 -3.70
C -1.54 -2.38 -3.63
C -1.75 -3.87 -3.63
O -1.14 -4.48 -4.75
C -1.74 -5.72 -5.06
N -2.22 -1.69 -2.50
H 0.59 -2.42 -2.97
H 0.03 -0.88 -3.64
H 0.36 -2.21 -4.68
H -1.99 -1.88 -4.49
H -2.82 -4.10 -3.57
H -1.24 -4.27 -2.74
H -1.08 -6.28 -5.72
H -2.76 -5.63 -5.42
H -1.71 -6.36 -4.16
H -1.68 -1.85 -1.66
H -2.04 -0.70 -2.56
C 1.29 -1.62 3.77
C 1.46 -0.43 2.81
C 1.26 0.95 3.41
O 1.56 1.99 2.45
C 1.37 3.27 3.10
N 2.82 -0.47 2.20
H 1.36 -2.62 3.33
H 0.28 -1.66 4.20
H 2.08 -1.54 4.51
H 0.72 -0.56 2.02
H 1.98 1.12 4.22
H 0.25 0.96 3.82
H 0.55 3.19 3.81
H 1.18 4.02 2.34
H 2.29 3.60 3.60
H 3.42 -0.79 2.96
H 2.80 -1.35 1.66
C -0.32 1.83 -4.45
C -0.24 2.89 -5.56
C 1.15 3.41 -5.71
O 1.16 4.56 -6.56
C 2.44 5.09 -6.86
N -0.64 2.36 -6.89
H -0.21 2.28 -3.46
H 0.42 1.04 -4.62
H -1.31 1.37 -4.39
H -1.02 3.60 -5.27
H 1.90 2.67 -6.00
H 1.45 3.75 -4.71
H 2.27 6.16 -6.97
H 2.78 4.57 -7.77
H 3.20 4.97 -6.08
H -1.60 2.03 -6.85
H -0.64 3.20 -7.46